Canada in the World

Inserted here: data records
/*
Material: SiAg8S6
Method: DFT, PBE
State: relaxed

Values from the calculation:
ρ ... 5.83 g/cm³
ΔE_f ... -0.40 eV per atom
Crystal system ... orthorhombic

Cell and atoms, written as CIF:
```
data_SiAg8S6
_chemical_formula_sum 'Si4 Ag32 S24'
_space_group_name_H-M_alt 'P 1'
_space_group_IT_number 1
_cell_length_a 7.590
_cell_length_b 10.690
_cell_length_c 15.213
_cell_angle_alpha 90.00
_cell_angle_beta 90.00
_cell_angle_gamma 90.00
loop_
_space_group_symop_operation_xyz
'x,y,z'
loop_
_atom_site_label
_atom_site_type_symbol
_atom_site_fract_x
_atom_site_fract_y
_atom_site_fract_z
_atom_site_occupancy
Si1 Si 0.263 0.032 0.377 1
Si2 Si 0.737 0.532 0.623 1
Si3 Si 0.237 0.032 0.877 1
Si4 Si 0.763 0.532 0.123 1
Ag1 Ag 0.069 0.359 0.933 1
Ag2 Ag 0.123 0.479 0.761 1
Ag3 Ag 0.877 0.979 0.239 1
Ag4 Ag 0.377 0.479 0.261 1
Ag5 Ag 0.264 0.546 0.064 1
Ag6 Ag 0.736 0.046 0.936 1
Ag7 Ag 0.236 0.546 0.564 1
Ag8 Ag 0.764 0.046 0.436 1
Ag9 Ag 0.379 0.695 0.412 1
Ag10 Ag 0.621 0.195 0.588 1
Ag11 Ag 0.121 0.695 0.912 1
Ag12 Ag 0.879 0.195 0.088 1
Ag13 Ag 0.494 0.790 0.229 1
Ag14 Ag 0.506 0.290 0.771 1
Ag15 Ag 0.006 0.790 0.729 1
Ag16 Ag 0.994 0.290 0.271 1
Ag17 Ag 0.931 0.859 0.067 1
Ag18 Ag 0.623 0.979 0.739 1
Ag19 Ag 0.569 0.859 0.567 1
Ag20 Ag 0.431 0.359 0.433 1
Ag21 Ag 0.116 0.688 0.268 1
Ag22 Ag 0.884 0.188 0.732 1
Ag23 Ag 0.384 0.688 0.768 1
Ag24 Ag 0.616 0.188 0.232 1
Ag25 Ag 0.484 0.770 0.015 1
Ag26 Ag 0.516 0.270 0.985 1
Ag27 Ag 0.016 0.770 0.515 1
Ag28 Ag 0.984 0.270 0.485 1
Ag29 Ag 0.728 0.514 0.371 1
Ag30 Ag 0.272 0.014 0.629 1
Ag31 Ag 0.772 0.514 0.871 1
Ag32 Ag 0.228 0.014 0.129 1
S1 S 0.992 0.412 0.121 1
S2 S 0.008 0.912 0.879 1
S3 S 0.508 0.412 0.621 1
S4 S 0.492 0.912 0.379 1
S5 S 0.769 0.650 0.009 1
S6 S 0.231 0.150 0.991 1
S7 S 0.731 0.650 0.509 1
S8 S 0.269 0.150 0.491 1
S9 S 0.771 0.650 0.237 1
S10 S 0.229 0.150 0.763 1
S11 S 0.729 0.650 0.737 1
S12 S 0.271 0.150 0.263 1
S13 S 0.184 0.513 0.387 1
S14 S 0.816 0.013 0.613 1
S15 S 0.316 0.513 0.887 1
S16 S 0.684 0.013 0.113 1
S17 S 0.233 0.777 0.123 1
S18 S 0.767 0.277 0.877 1
S19 S 0.267 0.777 0.623 1
S20 S 0.733 0.277 0.377 1
S21 S 0.033 0.913 0.374 1
S22 S 0.967 0.413 0.626 1
S23 S 0.467 0.913 0.874 1
S24 S 0.533 0.413 0.126 1
```

---

Material: Si3Ag10S11
Method: DFT, PBE
State: relaxed

Values from the calculation:
ρ ... 5.02 g/cm³
ΔE_f ... -0.52 eV per atom
Crystal system ... triclinic

Cell and atoms, written as CIF:
```
data_Si3Ag10S11
_chemical_formula_sum 'Si6 Ag20 S22'
_space_group_name_H-M_alt 'P 1'
_space_group_IT_number 1
_cell_length_a 6.503
_cell_length_b 12.509
_cell_length_c 13.575
_cell_angle_alpha 69.15
_cell_angle_beta 79.74
_cell_angle_gamma 78.21
loop_
_space_group_symop_operation_xyz
'x,y,z'
loop_
_atom_site_label
_atom_site_type_symbol
_atom_site_fract_x
_atom_site_fract_y
_atom_site_fract_z
_atom_site_occupancy
Si1 Si 0.303 0.825 0.937 1
Si2 Si 0.697 0.175 0.063 1
Si3 Si 0.012 0.789 0.539 1
Si4 Si 0.988 0.211 0.461 1
Si5 Si 0.202 0.488 0.699 1
Si6 Si 0.798 0.512 0.301 1
*/
Here the piece continues

DEVS 102/3.0


Canada in the World will help students build knowledge and analytical capacities in global development, with a focus on Canada. The course examines how processes of global development are differentiated across borders and axes of gender, racialization, and colonization. Students will explore applications of theories of global change.

DEVS 102: Canada in the World will help students build a foundation of knowledge and analytical skills to pursue a degree in Global Development Studies, or related disciplines. This course will encourage students to locate themselves in processes of global development by examining the ways in which people participate in development across borders and political divides, and along axes of gender, racialization and colonization. We will ground our analysis by bringing Canada to the forefront of our framing. The course will discuss how Canada has been shaped by global processes of development, while simultaneously asking how Canada participates in global development. To do so, the course grounds learning in a respect for stolen Indigenous lands and lives and will by thinking through settler colonialism, past and present.  

In Part One of this course, we will build our analysis of how processes of global development are differentiated across axes of gender, racialization, colonization and the so-called global south/north divide. While this list is certainly not exhaustive of the axes of power that shape people’s lives and experiences of development, it will provide us with a starting point to think through fundamental questions of development. These include: who are the actors of development and who are the subjects, or who is doing the development and who is being developed? How is who we are shaped by where we are and how does who we are shape where we can go? How do social, political, economic, and geographic markers of difference shape who gets what (distribution), and who makes what (production) and how (social relations)?  

In Part Two, we will focus our analytical lens on Canada, asking both Canada has “developed” globally and how Canada approaches global development. We will situate the establishment of the Canadian settler state in both the longstanding Indigenous relations to the land of Turtle Island and the global power relations that have shaped which bodies move to Canada, why and how. We will destabilize mainstream approaches to Canadian development by centring Indigenous resurgence and modes of life. And, building on the approaches to development you learned about in Term One, we will look at the history of Canadian approaches to “international development”.  

In Part Three, students will explore applications of theories of global change and development. We will examine how global actors try to make change at different scales, from home and community to various levels of government to global social movements and international organizations. We will focus on climate change as a global problem that requires multiple and dynamic action at different scales and through different contexts. In the final week, students will put their year’s learning to work by sharing proposals for “just ecological transitions”.

Learning Outcomes

To complete the course, students will demonstrate their ability to

== What comes next are records of crystals, not part of the article ==
~~~
SrCaTi4O12, relaxed, DFT GGA-PBE; space group = Amm2; MP2020-corrected energy = -8.231 eV per atom
1.0
0.0000 3.8922 3.8913
0.0000 -3.8922 3.8913
7.7692 0.0000 0.0000
O Ti Sr Ca
12 4 1 1
Direct
0.2339 0.7652 0.2505 O
0.4830 0.0128 0.5000 O
0.2339 0.7652 0.7495 O
0.2728 0.2728 0.7801 O
0.7362 0.7362 0.7407 O
0.7652 0.2339 0.7495 O
0.9660 0.5143 0.0000 O
0.7362 0.7362 0.2593 O
0.7652 0.2339 0.2505 O
0.5143 0.9660 0.0000 O
0.2728 0.2728 0.2199 O
0.0128 0.4830 0.5000 O
0.4957 0.0054 0.7518 Ti
0.0054 0.4957 0.7518 Ti
0.4957 0.0054 0.2482 Ti
0.0054 0.4957 0.2482 Ti
0.9882 0.9882 0.5000 Sr
0.5151 0.5151 0.0000 Ca

=====

K2FeCuC6N6, relaxed, DFT GGA-PBE; polymorph energy (0 for the lowest one) = 0.572 eV/f.u.; space group = Fm-3m; MP2020-corrected energy = -7.597 eV per atom
1.0
0.0000 5.1594 5.1594
5.1594 0.0000 5.1594
5.1594 5.1594 0.0000
C N K Fe Cu
6 6 2 1 1
Direct
0.8184 0.1816 0.1816 C
0.1816 0.1816 0.8184 C
0.1816 0.8184 0.1816 C
0.8184 0.1816 0.8184 C
0.8184 0.8184 0.1816 C
0.1816 0.8184 0.8184 C
0.2960 0.7040 0.7040 N
0.2960 0.2960 0.7040 N
0.7040 0.2960 0.7040 N
0.7040 0.7040 0.2960 N
0.2960 0.7040 0.2960 N
0.7040 0.2960 0.2960 N
0.2500 0.2500 0.2500 K
0.7500 0.7500 0.7500 K
0.0000 0.0000 0.0000 Fe
0.5000 0.5000 0.5000 Cu

=====

Cu2AsH2O6, relaxed, DFT GGA-PBE; space group = P-1; MP2020-corrected energy = -5.653 eV per atom
1.0
-2.8284 1.1012 -4.4788
4.3936 -5.1293 -6.0452
-5.1316 -8.5027 -0.4748
O Cu H As
24 8 8 4
Direct
0.4789 0.4283 0.7008 O
0.5211 0.5717 0.2992 O
0.2969 0.2534 0.9931 O
0.5994 0.2355 0.2114 O
0.2702 0.5895 0.0562 O
0.8748 0.9281 0.7234 O
0.7041 0.9197 0.4708 O
0.2164 0.7419 0.5098 O
0.9775 0.4264 0.2003 O
0.7984 0.0916 0.9814 O
0.7298 0.4105 0.9438 O
0.1252 0.0719 0.2766 O
0.5282 0.9034 0.2197 O
0.2226 0.4062 0.4478 O
0.7836 0.2581 0.4902 O
0.0415 0.2670 0.7123 O
0.0225 0.5736 0.7997 O
0.4718 0.0966 0.7803 O
0.9585 0.7330 0.2877 O
0.2016 0.9084 0.0186 O
0.2959 0.0803 0.5292 O
0.7774 0.5938 0.5522 O
0.4006 0.7645 0.7886 O
0.7031 0.7466 0.0069 O
0.2333 0.5081 0.2533 Cu
0.1363 0.1043 0.8716 Cu
0.0000 0.5000 0.0000 Cu
0.4132 0.0019 0.3637 Cu
0.7667 0.4919 0.7467 Cu
0.8637 0.8957 0.1284 Cu
0.5868 0.9981 0.6363 Cu
0.5000 0.5000 0.5000 Cu
0.3960 0.9304 0.1527 H
0.4806 0.3144 0.7297 H
0.8085 0.4679 0.2420 H
0.6040 0.0696 0.8473 H
0.1915 0.5321 0.7580 H
0.5194 0.6856 0.2703 H
0.1607 0.1543 0.1921 H
0.8393 0.8457 0.8079 H
0.4102 0.7529 0.9587 As
0.9301 0.7531 0.4590 As
0.5898 0.2471 0.0413 As
0.0699 0.2469 0.5410 As

=====

CaCuS2, relaxed, DFT GGA-PBE; space group = P4/mmm; MP2020-corrected energy = -4.831 eV per atom
1.0
-4.3500 1.4934 0.4571
-1.2000 -4.0619 1.8501
0.8243 1.3381 3.4725
S Cu Ca
2 1 1
Direct
0.0000 0.5000 0.0000 S
0.5000 0.0000 0.0000 S
0.0000 0.0000 0.0000 Cu
0.5000 0.5000 0.5000 Ca

=====

> Look up the MP2020-corrected energy of the fourth one.

-4.831 eV per atom

=====

> Among the records above, which one has the highest MP2020-corrected energy?

CaCuS2

----------

# 1
~~~

  • Identify and explain social, political economic and ecological axes of inequality in global development
  • Explain key themes in Canada’s role in global development
  • Apply critical thinking to case studies and written assignments
  • Collaboratively develop and present strategies for addressing global problems
  • Communicate effectively in written and oral format, with a focus on presentation strategies.


  • Unit 1 – Introduction  
  • Unit 2 – Gender & Development
  • Unit 3 – Culture, “Race,” & Development
  • Unit 4 – Case Study: Economic Inequality in the University Setting
  • Unit 5 – Canada & Settler Colonialism  
  • Unit 6 – Indigenous Resurgence
  • Unit 7 – Canada & Global Development
  • Unit 8 – Canada and Resource Extraction
  • Unit 9 – Development for Whom?
  • Unit 10 – Theories of Change & Changemaking  
  • Unit 11– Climate Change & Changemaking 


Summer (May–July) 2025
Course Dates
Exam Dates (if applicable)
Delivery Mode


5% - Academic Writing Exercise
10% - How do I fit in Global Development
15% - Case Study Analysis: Economic Inequality in the University System
15% - Reflection on Settler Colonialism (Multimedia Format)
20% - Case Study Analysis: Canada and Development (Essay Format)
15% - Class Symposium - Just Transitions (Part 1: Video Presentation)
20% - Class Symposium - Just Transitions (Part 2: Written Analysis)

*Evaluation subject to change*

Textbook and Materials

All reading materials are provided online within the course resources as part of a comprehensive online learning platform. 

Inserted here: data records:
--- a ---
# Ga3NO3, relaxed, DFT PBE
data_Ga3NO3
_cell_length_a 6.410
_cell_length_b 8.128
_cell_length_c 8.230
_cell_angle_alpha 60.70
_cell_angle_beta 90.00
_cell_angle_gamma 90.00
_space_group_name_H-M_alt 'P 1'
_space_group_IT_number 1
loop_
_space_group_symop_operation_xyz
'x,y,z'
loop_
_atom_site_label
_atom_site_fract_x
_atom_site_fract_y
_atom_site_fract_z
O1 0.252 0.666 0.028
O2 0.749 0.667 0.665
O3 0.752 0.025 0.320
O4 0.749 0.316 0.654
O5 0.748 0.666 0.028
O6 0.248 0.025 0.320
O7 0.000 0.339 0.334
O8 0.251 0.667 0.665
O9 0.500 0.323 0.335
O10 0.500 0.970 0.708
O11 0.251 0.316 0.654
O12 0.000 0.707 0.322
Ga1 0.258 0.759 0.406
Ga2 0.243 0.834 0.761
Ga3 0.000 0.229 0.599
Ga4 0.500 0.241 0.591
Ga5 0.500 0.589 0.174
Ga6 0.000 0.175 0.228
Ga7 0.757 0.834 0.761
Ga8 0.750 0.400 0.842
Ga9 0.742 0.759 0.406
Ga10 0.000 0.597 0.162
Ga11 0.500 0.165 0.222
Ga12 0.250 0.400 0.842
N1 0.000 0.972 0.704
N2 0.500 0.331 0.970
N3 0.000 0.333 0.972
N4 0.500 0.695 0.328
# M_tot: 0.0 μB/cell

=====

--- b ---
# Ga3NO3, relaxed, DFT PBE
data_Ga3NO3
_cell_length_a 5.954
_cell_length_b 5.954
_cell_length_c 10.354
_cell_angle_alpha 72.96
_cell_angle_beta 72.96
_cell_angle_gamma 59.59
_space_group_name_H-M_alt 'P 1'
_space_group_IT_number 1
loop_
_space_group_symop_operation_xyz
'x,y,z'
loop_
_atom_site_label
_atom_site_fract_x
_atom_site_fract_y
_atom_site_fract_z
O1 0.359 0.884 0.377
O2 0.884 0.359 0.377
O3 0.641 0.116 0.623
O4 0.124 0.124 0.616
O5 0.386 0.874 0.873
O6 0.866 0.866 0.870
O7 0.126 0.614 0.127
O8 0.876 0.876 0.384
O9 0.116 0.641 0.623
O10 0.874 0.386 0.873
O11 0.134 0.134 0.130
O12 0.614 0.126 0.127
Ga1 0.251 0.251 0.256
Ga2 0.500 0.000 0.000
Ga3 0.061 0.061 0.809
Ga4 0.551 0.551 0.304
Ga5 0.000 0.000 0.500
Ga6 0.449 0.449 0.696
Ga7 0.939 0.939 0.191
Ga8 0.000 0.500 0.500
Ga9 0.500 0.000 0.500
Ga10 0.749 0.749 0.744
Ga11 0.000 0.500 0.000
Ga12 0.500 0.500 0.000
N1 0.631 0.631 0.103
N2 0.647 0.647 0.615
N3 0.369 0.369 0.897
N4 0.353 0.353 0.385
# M_tot: 0.0 μB/cell

=====

What should be chosen as the most stable of them? Choose a.

=====

--- a ---
# ZnGaNO, relaxed, DFT PBE
data_ZnGaNO
_cell_length_a 6.530
_cell_length_b 6.530
_cell_length_c 10.571
_cell_angle_alpha 89.99
_cell_angle_beta 90.13
_cell_angle_gamma 119.85
_space_group_name_H-M_alt 'P 1'
_space_group_IT_number 1
loop_
_space_group_symop_operation_xyz
'x,y,z'
loop_
_atom_site_label
_atom_site_fract_x
_atom_site_fract_y
_atom_site_fract_z
Ga1 0.163 0.333 0.745
Ga2 0.838 0.177 0.503
Ga3 0.346 0.171 0.995
Ga4 0.825 0.172 0.994
Ga5 0.670 0.326 0.253
Ga6 0.334 0.670 0.992
Ga7 0.665 0.324 0.744
Ga8 0.175 0.836 0.741
O1 0.168 0.334 0.054
O2 0.346 0.175 0.301
O3 0.839 0.661 0.808
O4 0.824 0.652 0.301
O5 0.180 0.841 0.057
O6 0.660 0.839 0.054
O7 0.673 0.846 0.556
O8 0.335 0.665 0.303
N1 0.323 0.660 0.814
N2 0.839 0.175 0.815
N3 0.333 0.167 0.814
N4 0.157 0.327 0.564
N5 0.662 0.324 0.066
N6 0.828 0.172 0.317
N7 0.669 0.328 0.565
N8 0.168 0.836 0.564
Zn1 0.661 0.840 0.747
Zn2 0.334 0.168 0.511
The piece goes on:

Time Commitment

To complete the readings, assignments, and course activities, students can expect to spend, on average, about 10 hours a week (120 hours total) on the course.